When I went to Russia this summer, I found infinite displays with many feng shui souvenirs there. Than in Sochi, I went for a walk in my favourite street and found a little specialized shop there.
I'm very slow, when I have to chose something for me, specially if it's completely unknown object, so you can see me many days going around it.
In this case I was really very slow. I liked these things, I passed different times by, but I did not buy there. You know how are the negotiants. Specially in Russia it is a problem for me. After 5 minutes when I enter in a shop there is a body guard near me showing me that I have to buy or to go out. Even if I buy, the guard don't goes away. Seems I have the face of a thief
The lady in this shop was very different: she did not say anything to me, I could stay in the shop for hours and if I asked about something, she told me about it with so great passion that I began to see this new thing with other eyes. So at the end I bought what I need more (talismans for great wealth, of course), and imagin, when I came home the site for paid posts raised my rate! ;)))
So when I came this time to Sochi, I went to this lady and offered her to write about her and post her photos. You know, a person that is so passionate in something provokes always great respect. I asked her to write me her name ... and was shocked. Do you know Who is she? One moment, I'll translate for you:
-- Someone pasted molecular data at this point --
1.
The following is a DFT calculation (ωB97M-V/def2-TZVPD) of a 12-piece molecular cluster, C52H135N7O24 overall.

Calculated values
Charge   -1
Max |F|   3.95 eV Å⁻¹
Multiplicity   2
HOMO level (alpha / beta)   0.021 / -0.266 Eh
LUMO energy (alpha / beta)   1.658 / 1.635 eV

Positions of all 218 atoms, in Å:
C (1.601, -5.741, 6.908)
C (1.172, -7.223, 6.856)
O (0.926, -7.732, 5.609)
O (0.602, -4.947, 6.287)
H (2.573, -5.577, 6.444)
H (1.724, -5.338, 7.914)
H (0.253, -7.478, 7.383)
H (1.975, -7.798, 7.318)
H (0.970, -8.688, 5.689)
H (0.644, -5.139, 5.348)
C (5.867, -1.608, 7.237)
C (4.952, -1.721, 5.983)
O (5.491, -1.151, 4.832)
O (5.508, -0.391, 7.986)
H (6.940, -1.603, 7.043)
H (5.688, -2.411, 7.951)
H (3.959, -1.282, 6.088)
H (4.583, -2.742, 5.888)
H (6.106, -1.812, 4.505)
H (6.176, -0.323, 8.672)
C (5.893, -5.607, 4.617)
C (6.481, -5.701, 3.138)
O (5.681, -5.124, 2.064)
O (6.170, -4.390, 5.135)
H (6.316, -6.412, 5.218)
H (4.843, -5.892, 4.689)
H (6.657, -6.761, 2.955)
H (7.365, -5.067, 3.068)
H (4.880, -5.639, 2.187)
H (6.972, -4.013, 4.767)
C (0.104, -7.259, -0.548)
C (0.336, -7.927, -1.999)
O (-0.447, -9.143, -1.952)
O (0.997, -6.186, -0.442)
H (0.269, -7.970, 0.262)
H (-0.917, -6.882, -0.490)
H (1.404, -8.123, -2.101)
H (-0.090, -7.333, -2.807)
H (-0.896, -9.199, -2.799)
H (0.666, -5.518, 0.163)
C (3.477, -9.581, 3.512)
C (2.660, -8.416, 2.810)
O (2.824, -7.143, 3.448)
O (2.818, -10.239, 4.546)
H (4.306, -9.224, 4.123)
H (3.842, -10.281, 2.761)
H (1.646, -8.803, 2.712)
H (3.093, -8.235, 1.826)
H (2.335, -7.239, 4.269)
H (2.635, -11.127, 4.231)
C (-8.544, 8.212, 0.208)
O (-7.208, 8.083, 0.603)
C (-6.731, 6.771, 0.300)
C (-7.718, 5.560, 0.490)
N (-7.927, 5.079, 1.842)
C (-8.815, 3.867, 2.026)
C (-8.407, 2.655, 1.206)
O (-7.142, 2.029, 1.579)
C (-7.163, 0.650, 1.106)
H (-8.702, 7.805, -0.791)
H (-8.929, 9.223, 0.070)
H (-9.241, 7.719, 0.886)
H (-5.826, 6.502, 0.845)
H (-6.375, 6.851, -0.727)
H (-7.255, 4.705, -0.002)
H (-8.684, 5.647, -0.009)
H (-6.993, 4.997, 2.219)
H (-9.801, 4.306, 1.872)
H (-8.766, 3.645, 3.092)
H (-8.418, 2.996, 0.171)
H (-9.225, 1.977, 1.452)
H (-7.269, 0.809, 0.033)
H (-7.928, 0.002, 1.534)
H (-6.175, 0.204, 1.225)
C (-5.400, 0.937, -2.637)
O (-4.617, 2.048, -2.152)
C (-5.023, 2.595, -0.930)
C (-4.232, 3.859, -0.504)
N (-4.040, 4.848, -1.482)
C (-3.101, 5.952, -1.094)
C (-1.568, 5.636, -1.033)
O (-1.148, 5.214, 0.232)
C (0.125, 4.574, 0.295)
H (-5.680, 0.235, -1.851)
H (-4.972, 0.299, -3.410)
H (-6.327, 1.330, -3.053)
H (-4.783, 1.778, -0.248)
H (-6.098, 2.718, -1.067)
H (-3.341, 3.713, 0.106)
H (-4.963, 4.246, 0.206)
H (-3.687, 4.199, -2.170)
H (-3.397, 6.333, -0.116)
H (-3.308, 6.791, -1.758)
H (-1.085, 6.608, -1.128)
H (-1.253, 4.964, -1.831)
H (0.786, 4.735, -0.557)
H (0.009, 3.497, 0.413)
H (0.461, 5.071, 1.205)
C (1.732, 0.471, -3.470)
O (1.497, 1.432, -4.504)
C (2.476, 2.207, -5.037)
C (1.960, 3.352, -5.929)
N (0.986, 2.989, -6.912)
C (1.464, 1.934, -7.834)
C (2.810, 2.286, -8.592)
O (3.067, 3.524, -9.031)
-- End of the molecular data --
Rudus Svetlana, international feng shui forum's consultant, pupil and disciple of Raimond Lo and Steven Skinner, expert of Feng Shui
Oh yes, I'm a great expert in many things too. If you ask me about gardening, flowers or Buddismus I'll tell you about them for hours, but I have no one title. I learned everything myself reading books and surfing in internet. No, Buddhismus I learned in Basic Program of FPMT... But I have no titles anyway. Those are my passions without titles. :)))
More about Feng Shui I want to write next time. I learned it's about my favourite theme about positive cosmic energies... So if you have something to help me for my next post, pls write to me.
I agree that using techniques of Feng Shui can alter your fortunes. There are many changes I've mase in the house that have brought about changes for the better
Again, I was surprised. Didn't know there is a Feng Shui shop in Russia. There are many here. And i do see you have the correct number of fish in your aquarium =9. Before, you have only 8.
ReplyDeleteIt was because I remembered the number 8, but not remembered what was that 8 and the colours too. I asked abot it this lady and she explained me, so when I came back I changed the number and colour.
Liudmila, I have linked this post with mine at http://dragondescendants.blogspot.com
ReplyDeleteThank you,footiam, you are always soo nice! I'll read it now,I'm very interested in your opinions.